Brief.
Search the rows further down for the word "alpha" and copy each line that has it.
Input.
{
  "formula": "C6H13NS",
  "method": "ωB97M-V/def2-TZVPD",
  "homo_energy_ev": -8.3,
  "homo_lumo_gap_ev": 9.188,
  "total_energy_ev": -18756.52641,
  "charge": 0,
  "relative_energy_kcal_mol": 40.37,
  "lumo_ev": 0.898,
  "smiles": "C/C=C(/CNC)SC",
  "species": ["C", "C", "C", "C", "N", "C", "S", "C", "H", "H", "H", "H", "H", "H", "H", "H", "H", "H", "H", "H", "H"],
  "coordinates": [[2.4723, -1.6985, -1.1692], [1.8469, -0.6969, -0.3068], [0.6180, -0.2092, -0.3422], [0.1865, 0.8791, 0.5316], [-1.1719, 1.3459, 0.2422], [-1.6664, 2.6255, 0.6999], [-0.6516, -1.0465, -1.2340], [-1.4810, -1.8340, 0.1840], [1.9486, -2.6535, -1.0060], [2.5530, -1.4484, -2.2382], [3.4993, -1.9752, -0.8444], [2.4431, -0.1852, 0.4814], [0.2396, 0.6832, 1.6547], [0.9160, 1.7432, 0.4359], [-1.2640, 1.4448, -0.7836], [-1.9874, 2.6047, 1.7393], [-2.5239, 2.9430, 0.0823], [-0.8873, 3.4519, 0.5914], [-1.5777, -1.1924, 1.0092], [-2.4907, -2.0389, -0.1153], [-1.0213, -2.7423, 0.3878]],
  "forces_ev_per_angstrom": [[1.11, -1.90, 0.16], [0.68, 1.97, 1.05], [-0.36, -1.76, -0.23], [-0.20, 3.29, 2.54], [-0.57, -0.07, -1.88], [1.18, 1.27, 0.25], [-0.31, -0.35, -0.56], [-0.64, 0.77, -1.64], [-0.16, 0.19, -0.68], [-0.41, -0.07, 0.42], [-0.46, 0.62, -0.08], [0.15, -0.37, -0.78], [-0.10, -0.33, -1.27], [-0.46, -0.66, -0.09], [0.23, -0.75, 0.79], [0.02, -0.03, 0.13], [0.30, -0.36, 0.28], [-0.72, -0.69, 0.24], [0.29, 0.93, 1.09], [-0.56, -0.16, -0.40], [0.99, -1.53, 0.67]]
}

* * * * *

No. 1
C5H6N2S | the ωB97M-V functional and the def2-TZVPD basis

Geometry as XYZ:
```
14
Properties=species:S:1:pos:R:3:mulliken_charge:R:1
S -1.80 -0.61 -0.37 -0.078
N 1.72 1.28 -0.18 -0.548
N 0.70 -1.21 0.16 -0.510
C 0.45 1.02 -0.39 0.015
C 2.02 -1.01 0.25 -0.065
C 2.51 0.34 0.13 -0.155
C -0.14 -0.20 -0.13 0.341
C -2.54 0.74 0.65 -1.045
H -1.86 1.01 1.56 0.314
H -3.66 0.60 0.92 0.311
H -0.19 2.05 -0.67 0.207
H 2.83 -1.68 0.75 0.262
H 3.48 0.43 0.27 0.490
H -2.57 1.50 0.20 0.460
```

- energy above the lowest of the compared OMol25 structures with the same formula, charge and spin (kcal/mol) = 78.5
- LUMO level (hartree) = 0.01707
- structure (SMILES) = CSc1cnccn1
- calculated total energy (Ha) = -701.7139

---

No. 2
C5H6N3O | the ωB97M-V functional and the def2-TZVPD basis

Geometry as XYZ:
```
15
Properties=species:S:1:pos:R:3:mulliken_charge:R:1
O -0.64 1.40 2.13 -0.691
N -1.69 -1.65 0.15 -0.388
N -0.01 1.06 1.11 -0.035
N -2.38 -0.83 1.01 -0.521
C 1.15 -0.15 -1.49 -0.261
C -0.23 -0.68 -1.63 -0.480
C -0.90 -1.07 -0.61 0.313
C 1.76 0.48 -0.42 -0.284
C 1.26 1.08 0.87 -0.274
H -2.24 -1.10 2.02 0.262
H -0.70 -0.76 -2.63 0.306
H 2.86 0.62 -0.63 0.152
H 1.86 -0.21 -2.36 0.209
H 2.05 1.58 1.52 0.317
H -2.15 0.22 0.93 0.375
```

- energy above the lowest of the compared OMol25 structures with the same formula, charge and spin (kcal/mol) = 35.3
- LUMO level (alpha / beta) (hartree) = 0.15124 / 0.15124
- total charge = -1
- calculated total energy (Ha) = -433.4843

---

No. 3
C5H6N3O | the ωB97M-V functional and the def2-TZVPD basis

Geometry as XYZ:
```
15
Properties=species:S:1:pos:R:3:mulliken_charge:R:1
O 1.50 -2.20 -1.39 -0.230
N -0.10 0.79 0.08 -0.453
N 0.78 0.59 -0.97 -0.087
N 0.10 -1.56 0.46 -0.137
C 1.46 1.85 -1.43 -0.024
C -1.34 -0.18 1.91 -1.061
C -0.37 -0.16 0.76 0.499
C 0.61 1.31 -2.23 -0.308
C 0.83 -1.76 -0.56 0.869
H -2.20 0.44 1.63 0.321
H -1.64 -1.15 1.98 0.387
H -0.45 -2.19 0.92 0.226
H -0.03 1.39 -3.06 0.358
H 1.89 2.74 -1.01 0.340
H -1.03 0.09 2.90 0.299
```

- energy above the lowest of the compared OMol25 structures with the same formula, charge and spin (kcal/mol) = 102.9
- LUMO level (alpha / beta) (hartree) = -0.16204 / -0.16205
- total charge = +1
- structure (SMILES) = C/C(=N/N1C=C1)[NH+]=C=O
- calculated total energy (Ha) = -433.1790

---

No. 4
C5H6N3O2 | the ωB97M-V functional and the def2-TZVPD basis

Geometry as XYZ:
```
16
Properties=species:S:1:pos:R:3:mulliken_spin:R:1
O 1.92 -1.06 1.10 -0.028
O 3.45 -0.66 -0.45 0.006
N 1.66 0.82 -0.39 0.108
Result.
- LUMO level (alpha / beta) (hartree) = 0.15124 / 0.15124
- LUMO level (alpha / beta) (hartree) = -0.16204 / -0.16205